Re: rdfs:subClassOf and XSD derivation by restriction

Peter F. Patel-Schneider wrote:

> You are correct that RDFS subclass inferencing wrt instances is one way only, 
> i.e., if C rdfs:subClassOf D then instances of C are also instances of D but 
> if all instances of C are also instances of D then it is not necessarily the 
> case that C rdfs:subClassOf D.

Thanks for that (and sorry not to acknowledge it sooner).

I received another reply (not copied to the list) saying 
exactly the opposite, i.e. that it is true by definition 
that C rdfs:subClassOf D in this case.  I think I can 
trivially demonstrate why this should not be the case. 
Suppose I have two subclasses of xsd:decimal called 
ex:heightInFeet and ex:heightInMetres, both the with same 
lexical and value spaces.  I'm not sure this would be good 
practice, but I'm pretty sure it's not wrong.  This means 
all instances of ex:heightInFeet are also instances of 
ex:heightInMetres, and vice versa.  If this argument were 
valid, this would make each a subclass of the other, which 
is clearly not desirable.

> So what subclass relationships can be inferred in RDFS?  This is specified in 
> where you get all 
> classes are subclasses of rdfs:Resource, subclass is reflexive on classes and 
> transitive, datatypes are subclasses of rdfs:Literal, the container classes 
> are subclasses of rdfs:Container, rdfs:ContainerMembershipPropery is a 
> subclass of rdf:Property, and rdfs:Datatype is a subclass of rdfs:Class.  
> That's it.
> So even with it being the case that all integers are decimals in XML Schema 
> Datatypes, RDFS does not require that xsd:integer is a subclass of 
> xsd:decimal, even for RDFS processors that recognize both these datatypes.

Okay.  That sounds plausible enough.

To be honest, I'm not absolutely convinced that 
rdfs:subClassOf means what I think with datatypes.  For 
instance, does

   ex:a ex:p "sss"^^ex:sub .
   ex:sub rdfs:subClassOf ex:super .
   ex:super a rdfs:Datatype .

RDFS entail this?

   ex:a ex:p "sss"^^ex:super .

### Attached: crystal structures
~~~
Record 1
For MnVSb, a crystal structure in the Materials Project, relaxed with PBE gives the simulated X-ray powder pattern in this record (a wavelength of 1.5418 Å).

Top 10 peaks for 2θ from 15° to 90°, low angle first:
two_theta  d [Å]  I_rel  index
22.98  3.870  12  1 0 0
28.35  3.148  31  1 0 1
33.12  2.705  18  0 0 2
40.36  2.235  100  1 1 0
40.69  2.217  73  1 0 2
53.17  1.723  28  1 1 2
58.66  1.574  23  2 0 2
73.39  1.290  16  3 0 0
73.61  1.287  23  2 1 2
83.56  1.157  22  1 1 4

Structure:
a b c (Å): 4.4692 4.4692 5.4099
angles (deg): 90.00 90.00 120.00
Space group P6_3/mmc (No. 194)
One atom of each set of equivalent atoms:
Mn: 0.3333 0.6667 0.2500 [2 per cell]
V: 0.0000 0.0000 0.0000 [2 per cell]
Sb: 0.3333 0.6667 0.7500 [2 per cell]

***

Record 2
For ScMn2, a crystal structure in the Materials Project, relaxed with PBE gives the simulated X-ray powder pattern in this record (a wavelength of 1.5418 Å).

Top 10 peaks for 2θ from 15° to 90°, low angle first:
two_theta  d [Å]  I_rel  index
36.72  2.448  22  1 1 0
39.76  2.267  65  1 0 3
43.26  2.091  100  1 1 2
44.18  2.050  95  2 0 1
45.06  2.012  24  0 0 4
48.54  1.875  27  2 0 2
68.17  1.376  19  2 1 3
70.64  1.333  20  3 0 2
73.94  1.282  27  2 0 5
78.08  1.224  24  2 2 0

Structure:
a b c (Å): 4.8955 4.8955 8.0478
angles (deg): 90.00 90.00 120.00
Space group P6_3/mmc (No. 194)
One atom of each set of equivalent atoms:
Sc: 0.3333 0.6667 0.0631 [4 per cell]
Mn: 0.0000 0.0000 0.0000 [2 per cell]
Mn: 0.1710 0.3420 0.7500 [6 per cell]

***

Record 3
For Sc2MnSe4, a crystal structure in the Materials Project, relaxed with PBE gives the simulated X-ray powder pattern in this record (a wavelength of 1.5418 Å).

Top 10 peaks for 2θ from 15° to 90°, low angle first:
two_theta  d [Å]  I_rel  index
26.51  3.362  28  3 1 1
27.71  3.219  68  2 2 2
32.11  2.788  82  4 0 0
42.11  2.146  20  5 1 1
46.05  1.971  100  4 4 0
54.59  1.681  29  6 2 2
57.24  1.609  19  4 4 4
67.16  1.394  15  8 0 0
76.40  1.247  24  8 4 0
85.28  1.138  30  8 4 4

Structure:
a b c (Å): 11.151 11.151 11.151
angles (deg): 90.00 90.00 90.00
Space group Fd-3m (No. 227, origin choice 2)
One atom of each set of equivalent atoms:
Sc: 0.000 0.000 0.000 [16 per cell]
Mn: 0.125 0.125 0.625 [8 per cell]
Se: 0.006 0.006 0.244 [32 per cell]

***

Record 4
For Sc4Mn4Si7, a crystal structure in the Materials Project, relaxed with PBE gives the simulated X-ray powder pattern in this record (a wavelength of 1.5418 Å).

Top 10 peaks for 2θ from 15° to 90°, low angle first:
two_theta  d [Å]  I_rel  index
21.39  4.154  20  3 1 0
38.58  2.334  100  5 0 1
38.78  2.322  39  4 4 0
41.24  2.189  44  6 0 0
41.66  2.168  88  3 1 2
45.11  2.010  27  4 0 2
46.21  1.965  31  3 3 2
47.29  1.922  19  4 2 2
65.39  1.427  25  7 3 2
65.55  1.424  19  5 0 3

Structure:
a b c (Å): 13.135 13.135 5.084
angles (deg): 90.00 90.00 90.00
Space group I4/mmm (No. 139)
One atom of each set of equivalent atoms:
Sc: 0.000 0.199 0.000 [8 per cell]
~~~

I'd expect it to, but it doesn't.  Maybe that means I don't 
want to be using rdfs:subClassOf at all.

> Of course, there is nothing wrong in adding xsd:integer rdfs:subClassOf 
> xsd:decimal to any of your RDF graphs.  That's not going to infer anything 
> false. 

That's almost exactly my concern.  The graphs I'm interested 
in aren't under a single person's control.  I anticipate a 
user pulling in statements from one or more ontology (one of 
which I control) together with various statements of their 
own, which the gets processed in various ways.

I don't want to get into the question of trust here, so for 
the sake of this discussion let's assume no-one is 
deliberately trying to break or subvert the logic model.

But I am concerned that some seemingly-sensible statement a 
third party might make about xsd:integer or xsd:decimal 
might subtly conflict with me stating an rdfs:subClassOf 
relationship between them.

> It's also not wrong to have an RDFS processor that implements a 
> semantic extension that augments subclass so that X rdfs:subClassOf Y for X 
> and Y recognized datatypes when X is somehow a subdatatype of Y.  Just be 
> aware that this is an extension to RDFS, and, as well, there might be similar 
> but not completely compatible semantic extensions implemented in other RDFS 
> processors.

Again, that's the concern.  How likely is an incompatibility 
in practice?

Or perhaps I should look at this in another way.  Is there 
an existing extension to RDFS that someone else has already 
thought about that provides some sort of meaningful subtype 
relationship for datatypes that allows datatypes to be 
replaced with their supertype in literal?  So far as I can 
see, OWL datatype restrictions don't allow that.


Received on Tuesday, 6 March 2018 16:00:30 UTC